  • Pharmacy Errors And Injuries From Underdosing
    calender 15 January 2021 category Pharmacy Error
    Many articles exist about patients overdosing due to pharmacy error. But what about cases where an inadequate dosage of medication is either instructed (improper labeling) or dispensed? Both overdosing AND underdosing can result in long-term patient injury. Today we will focus on complications resulting from underdosing. Common sense would tell us that when we are treated for a condition, and
  • Walgreens & Pharmacy Errors
    calender 12 January 2021 category Pharmacy Error
    Quite like Starbucks, a Walgreens Pharmacy is probably within 5 miles of you in several different directions. Walgreens locations number in the thousands and exist in all states in the U.S. They fill billions of prescriptions each year and also experience their share of dispensing errors. Many claims of pharmacy negligence and malpractice originated against Walgreens Pharmacies. As a matter
  • I Have Been Harmed By A Pharmacy Error. What Do I Do Now?
    calender 07 January 2021 category Pharmacy Error
    If a pharmacy dispensed the wrong medication or made any mistake with your prescription, and, as a result, your health or a loved one's was negatively affected, you have the right to file a claim for negligence or malpractice. This type of claim falls under "personal injury law." NOTE: Each state has different laws governing personal injury cases; therefore, the
  • The Pharmacist’s Role in Your Health Care
    calender 05 January 2021 category Pharmacy Error
    A pharmacist is a patient's most accessible health care provider. If you think about it, pharmacists advise on prescription medications, over the counter medications, as well as health and vitamin supplements. This advice is available in-person or over the phone - without the need for an appointment. This fact is impressive, considering all of the things a pharmacist is juggling
  • calender 10 December 2020 category Pharmacy Error
    Imagine you are a pregnant woman experiencing high blood pressure in the latter half of your pregnancy. Your doctor has coached you to ditch the salt, de-stress, take more walks, etc., to lower your blood pressure the natural way, but it isn't working. As a last resort, the doctor prescribes a blood-pressure-lowering medication to avoid complications for you and your
  • Errors That Kill
    calender 08 December 2020 category Pharmacy Error
    Several years ago, a gentleman was picking up a prescription for his wife, and unbeknownst to him at the time, the medication prescribed by the doctor was not what he took home. The error started when the doctor's office phoned in the prescription to the pharmacy. The technician (not the pharmacist) took the order and gave the information to the
  • calender 30 November 2020 category Pharmacy Error
    Of course, no pharmacist intentionally means to harm a patient. In fact, they intend to use every resource at their disposal to prevent harming a patient. But they can be a victim of their own circumstance. In case you haven't noticed lately, pharmacy environments can be very chaotic. Pharmacists are called upon to dispense medication, phone doctors, phone patients, work
# Inserted here: records of crystals
The following is a PBE calculation of a relaxed LaAl7Cu12 crystal, from Alexandria.

Cell and atoms, written as POSCAR:
```
LaAl7Cu12
1.0
-0.336 2.165 -6.069
2.128 -7.270 -0.425
-6.941 0.800 2.956
La Al Cu
1 7 12
direct
0.000 0.000 0.000 La
0.549 0.350 0.350 Al
0.199 0.000 0.650 Al
0.801 0.000 0.350 Al
0.801 0.350 0.000 Al
0.451 0.650 0.650 Al
0.500 0.000 0.000 Al
0.199 0.650 0.000 Al
0.606 0.660 0.000 Cu
0.729 0.729 0.458 Cu
0.606 0.000 0.660 Cu
0.271 0.271 0.542 Cu
0.729 0.458 0.729 Cu
0.394 0.000 0.340 Cu
0.394 0.340 0.000 Cu
0.271 0.542 0.271 Cu
0.946 0.340 0.340 Cu
0.054 0.660 0.660 Cu
0.000 0.271 0.729 Cu
0.000 0.729 0.271 Cu
```

- formation enthalpy at 0 K (eV/atom) = -0.113
- space group = R-3m, No. 166
- energy (eV for the cell shown) = -82.5
- Fermi-level density of states (states/eV/f.u.) = 7.4
  • calender 25 November 2020 category Pharmacy Error
    Medication errors harm over a million people every year, and the costs associated with the errors numbers in the billions. Despite the duty of care that healthcare providers are committed to and strive for, negligence, and malpractice when it comes to prescribing, administering, and dispensing medications occurs at staggering rates. If you are reading this article, you may be one
### Data records that have nothing to do with the text
1:
NaCoSnPb: optimized geometry, PBE.

Structure (POSCAR):
```
NaCoSnPb
1.0
4.3420 0.4899 2.4936
0.1611 -0.8347 4.9587
2.3463 -4.0745 1.7901
Na Pb Co Sn
1 1 1 1
Cartesian
5.1371 -3.3145 6.9318
1.7124 -1.1048 2.3106
3.4247 -2.2097 4.6212
0.0000 0.0000 0.0000
```

* density: 7.52 g/cm3

2:
NaCoSnPb: optimized geometry, PBE.

Structure (POSCAR):
```
NaCoSnPb
1.0
-4.3058 -1.7048 1.4256
-1.8200 1.3041 4.2971
-3.8291 2.9618 0.2112
Na Pb Co Sn
1 1 1 1
Cartesian
-7.4662 1.9208 4.4505
-4.9774 1.2805 2.9670
-2.4887 0.6403 1.4835
0.0000 0.0000 0.0000
```

* density: 8.42 g/cm3

2 has the most favorable energy; the next structure is 266 meV per atom above.

1:
NaCoPt: optimized geometry, PBE.

Structure (POSCAR):
```
NaCoPt
1.0
0.0000 2.9716 2.9716
2.9716 0.0000 2.9716
2.9716 2.9716 0.0000
Co Na Pt
1 1 1
Cartesian
0.0000 0.0000 0.0000
1.4858 1.4858 1.4858
4.4573 4.4573 4.4573
```

* density: 8.77 g/cm3

2:
NaCoPt: optimized geometry, PBE.

Structure (POSCAR):
```
NaCoPt
1.0
-3.9151 -0.6748 -1.5285
-3.0527 2.9031 0.6103
-1.4310 2.3055 -3.2798
Na Pt Co
1 1 1
Cartesian
0.0000 0.0000 0.0000
-6.2991 3.4004 -3.1485
-2.0997 1.1334 -1.0495
```

* density: 8.43 g/cm3

1 has the most favorable energy; the next structure is 663 meV per atom above.

1:
RbNaCoTc: optimized geometry, PBE.

Structure (POSCAR):
```
RbNaCoTc
1.0
0.0000 3.3601 3.3601
3.3601 0.0000 3.3601
3.3601 3.3601 0.0000
Rb Co Na Tc
1 1 1 1
Cartesian
3.3601 3.3601 3.3601
0.0000 0.0000 0.0000
5.0402 5.0402 5.0402
1.6800 1.6800 1.6800
```

* density: 5.81 g/cm3

2:
RbNaCoTc: optimized geometry, PBE.

Structure (POSCAR):
```
RbNaCoTc
1.0
0.0000 3.6849 3.6849
3.6849 0.0000 3.6849
3.6849 3.6849 0.0000
Na Co Tc Rb
1 1 1 1
Cartesian
5.5274 5.5274 5.5274
3.6849 3.6849 3.6849
0.0000 0.0000 0.0000
1.8425 1.8425 1.8425
```

* density: 4.40 g/cm3

3:
RbNaCoTc: optimized geometry, PBE.

Structure (POSCAR):
```
RbNaCoTc
1.0
0.0000 3.5184 3.5184
3.5184 0.0000 3.5184
3.5184 3.5184 0.0000
Na Co Tc Rb
1 1 1 1
Cartesian
5.2776 5.2776 5.2776
1.7592 1.7592 1.7592
0.0000 0.0000 0.0000
3.5184 3.5184 3.5184
```

* density: 5.06 g/cm3

3 has the most favorable energy; the next structure is 55 meV per atom above.

1:
NaScCoS3: optimized geometry, PBE.

Structure (POSCAR):
```
NaScCoS3
1.0
-3.1869 -1.7309 0.6304
3.4613 -8.0437 -4.5876
4.4803 -4.2831 10.8903
S Co Na Sc
12 4 4 4
Cartesian
0.9015 -3.2942 0.8859
4.6208 -7.5849 7.9079
1.4687 -6.1166 6.7516
-0.3671 -3.6265 4.3078
3.8532 -10.7635 6.0472
3.3159 -4.6043 9.4953
1.4388 -9.4534 -2.5622
5.1218 -10.4312 2.6253
3.8926 -7.5229 4.3966
0.1340 -6.4728 -0.9748
0.8621 -6.5348 2.5366
3.2860 -7.9411 0.1815
4.9847 -9.4505 4.6250
3.5156 -5.6788 7.5548
-0.2299 -4.6073 2.3081
1.2391 -8.3790 -0.6217
2.3660 -9.2849 2.5882
2.8728 -7.4021 10.3207
2.3887 -4.7728 4.3449
1.8819 -6.6557 -3.3876
2.0746 -5.6097 0.4586
2.6801 -8.4480 6.4745
0.3974 -1.6391 2.8825
4.3573 -12.4187 4.0506
```

* density: 3.25 g/cm3

2:
NaScCoS3: optimized geometry, PBE.

Structure (POSCAR):
```
NaScCoS3
1.0
  • calender 17 November 2020 category Pharmacy Error
    Have you ever noticed that Walgreens Pharmacies are usually extremely busy? You will likely see every pharmacist and technician occupied with a customer when you enter the pharmacy area of one of their stores. Which makes you think that they are chronically understaffed - and maybe they are. Does it make you wonder why they don't just hire more people?
  • calender 12 November 2020 category Pharmacy Error
    Each year, approximately 1.5 million people are harmed due to pharmacy errors. Let's face it. Our pharmacies and pharmacists are short-staffed, distracted, and overworked, relying increasingly on pharmacy assistants to help in the process of filling and administering prescriptions. Though errors are infrequent, you must be your own advocate when making sure you've received what the doctor ordered, that the